## Assignment
Retype the rows below from the first line to the one with "0.498 0.833" exactly.

## Input
+++
This record from the Materials Project database describes a geometry-optimized Ta4GaSe8 structure. The functional is PBE.

Its energy of formation is -1.0370 eV per atom. As for the calculated volume: 22.30 Å³ per atom. The space group is No. 216.

Lattice parameters (Å, degrees): 7.4287 7.4287 7.4287 60.00 60.00 60.00
Sites, in units of the cell vectors:
Ta: 0.1022 0.1022 0.1022
Ta: 0.1022 0.1022 0.6935
Ta: 0.1022 0.6935 0.1022
Ta: 0.6935 0.1022 0.1022
Ga: 0.5000 0.5000 0.5000
Se: 0.3642 0.3642 0.3642
Se: 0.3642 0.3642 0.9073
Se: 0.3642 0.9073 0.3642
Se: 0.4069 0.8644 0.8644
Se: 0.8644 0.4069 0.8644
Se: 0.8644 0.8644 0.4069
Se: 0.8644 0.8644 0.8644
Se: 0.9073 0.3642 0.3642



This record from the Materials Project database describes a geometry-optimized Ta4GaTe4Se4 structure. The functional is PBE.

Its energy of formation is -0.7294 eV per atom. As for the calculated volume: 25.73 Å³ per atom. The space group is No. 216.

Lattice parameters (Å, degrees): 7.7922 7.7922 7.7922 60.00 60.00 60.00
Sites, in units of the cell vectors:
Ta: 0.0974 0.0974 0.0974
Ta: 0.0974 0.0974 0.7077
Ta: 0.0974 0.7077 0.0974
Ta: 0.7077 0.0974 0.0974
Ga: 0.5000 0.5000 0.5000
Te: 0.3630 0.3630 0.3630
Te: 0.3630 0.3630 0.9110
Te: 0.3630 0.9110 0.3630
Te: 0.9110 0.3630 0.3630
Se: 0.3915 0.8695 0.8695
Se: 0.8695 0.3915 0.8695
Se: 0.8695 0.8695 0.3915
Se: 0.8695 0.8695 0.8695



This record from the Materials Project database describes a geometry-optimized Ga2TeSe2 structure. The functional is PBE.

Its energy of formation is -0.7034 eV per atom. The calculation puts the piezoelectric modulus e_max at 0.1 C/m². As for the calculated volume: 30.39 Å³ per atom. The space group is No. 109.

Lattice parameters (Å, degrees): 7.6069 7.6069 7.6069 121.49 121.49 87.44
Sites, in units of the cell vectors:
Ga: 0.2252 0.0000 0.2252
Ga: 0.7500 0.0248 0.2748
Ga: 0.7500 0.4752 0.7252
Ga: 0.7748 0.0000 0.7748
Te: 0.3542 0.8542 0.5000
Te: 0.6042 0.6042 0.0000
Se: 0.4751 0.2230 0.2521
Se: 0.9709 0.2230 0.7479
Se: 0.9730 0.2209 0.2479
Se: 0.9730 0.7251 0.7521



Which of these has the lowest energy of formation?
Ta4GaSe8

~~~~~

# Na6Ca4Y4SiS11O48 GGA-PBE relaxed
# - energy of formation from the pure elements (eV/atom) = -2.589
# - total energy after the MP2020 corrections (eV/cell) = -1565.556
data_Na6Ca4Y4SiS11O48
_cell_length_a 9.243
_cell_length_b 16.010
_cell_length_c 24.268
_cell_angle_alpha 89.99
_cell_angle_beta 89.98
_cell_angle_gamma 89.96
_symmetry_space_group_name_H-M 'P 1'
_symmetry_Int_Tables_number 1
loop_
_symmetry_equiv_pos_as_xyz
'x,y,z'
loop_
_atom_site_label
_atom_site_type_symbol
_atom_site_fract_x
_atom_site_fract_y
_atom_site_fract_z
Na1 Na 0.000 0.000 0.000
Na2 Na 0.000 0.003 0.493
Na3 Na 0.007 0.676 0.168
Na4 Na 0.017 0.334 0.835
Na5 Na 0.140 0.492 0.750
Na6 Na 0.165 0.818 0.748
Na7 Na 0.190 0.192 0.747
Na8 Na 0.326 0.319 0.246
Na9 Na 0.496 0.172 0.661
Na10 Na 0.499 0.502 0.000
Na11 Na 0.499 0.834 0.329
Na12 Na 0.500 0.498 0.497
Na13 Na 0.513 0.167 0.170
Na14 Na 0.531 0.834 0.835
Na15 Na 0.667 0.317 0.745
Na16 Na 0.857 0.494 0.253
Na17 Na 0.974 0.326 0.334
Na18 Na 0.980 0.675 0.664
Ca1 Ca 0.000 0.332 0.482
Ca2 Ca 0.000 0.332 0.983
Ca3 Ca 0.000 0.665 0.515
Ca4 Ca 0.002 0.673 0.318
Ca5 Ca 0.006 0.333 0.677
Ca6 Ca 0.498 0.833 0.181
Ca7 Ca 0.499 0.168 0.515
Ca8 Ca 0.499 0.833 0.984
Ca9 Ca 0.501 0.165 0.817
Ca10 Ca 0.987 0.329 0.181
Ca11 Ca 0.987 0.671 0.816
Ca12 Ca 0.999 0.998 0.350
Y1 Y 0.000 0.999 0.150
Y2 Y 0.494 0.497 0.851
Y3 Y 0.497 0.166 0.016
Y4 Y 0.497 0.494 0.647
Y5 Y 0.499 0.833 0.480
Y6 Y 0.501 0.495 0.149
Y7 Y 0.505 0.498 0.351
Y8 Y 0.510 0.165 0.316
Y9 Y 0.517 0.834 0.684
Y10 Y 0.988 0.994 0.851
Y11 Y 0.993 0.995 0.646
Y12 Y 0.999 0.667 0.016
Si1 Si 0.349 0.350 0.750
Si2 Si 0.648 0.350 0.250
Si3 Si 0.853 0.849 0.749
S1 S 0.147 0.518 0.914
S2 S 0.149 0.485 0.583
S3 S 0.149 0.851 0.249
S4 S 0.151 0.148 0.250
S5 S 0.151 0.181 0.584
S6 S 0.151 0.815 0.915
S7 S 0.200 0.166 0.914
S8 S 0.204 0.500 0.249
S9 S 0.206 0.832 0.584
+++

## Done
This record from the Materials Project database describes a geometry-optimized Ta4GaSe8 structure. The functional is PBE.

Its energy of formation is -1.0370 eV per atom. As for the calculated volume: 22.30 Å³ per atom. The space group is No. 216.

Lattice parameters (Å, degrees): 7.4287 7.4287 7.4287 60.00 60.00 60.00
Sites, in units of the cell vectors:
Ta: 0.1022 0.1022 0.1022
Ta: 0.1022 0.1022 0.6935
Ta: 0.1022 0.6935 0.1022
Ta: 0.6935 0.1022 0.1022
Ga: 0.5000 0.5000 0.5000
Se: 0.3642 0.3642 0.3642
Se: 0.3642 0.3642 0.9073
Se: 0.3642 0.9073 0.3642
Se: 0.4069 0.8644 0.8644
Se: 0.8644 0.4069 0.8644
Se: 0.8644 0.8644 0.4069
Se: 0.8644 0.8644 0.8644
Se: 0.9073 0.3642 0.3642



This record from the Materials Project database describes a geometry-optimized Ta4GaTe4Se4 structure. The functional is PBE.

Its energy of formation is -0.7294 eV per atom. As for the calculated volume: 25.73 Å³ per atom. The space group is No. 216.

Lattice parameters (Å, degrees): 7.7922 7.7922 7.7922 60.00 60.00 60.00
Sites, in units of the cell vectors:
Ta: 0.0974 0.0974 0.0974
Ta: 0.0974 0.0974 0.7077
Ta: 0.0974 0.7077 0.0974
Ta: 0.7077 0.0974 0.0974
Ga: 0.5000 0.5000 0.5000
Te: 0.3630 0.3630 0.3630
Te: 0.3630 0.3630 0.9110
Te: 0.3630 0.9110 0.3630
Te: 0.9110 0.3630 0.3630
Se: 0.3915 0.8695 0.8695
Se: 0.8695 0.3915 0.8695
Se: 0.8695 0.8695 0.3915
Se: 0.8695 0.8695 0.8695



This record from the Materials Project database describes a geometry-optimized Ga2TeSe2 structure. The functional is PBE.

Its energy of formation is -0.7034 eV per atom. The calculation puts the piezoelectric modulus e_max at 0.1 C/m². As for the calculated volume: 30.39 Å³ per atom. The space group is No. 109.

Lattice parameters (Å, degrees): 7.6069 7.6069 7.6069 121.49 121.49 87.44
Sites, in units of the cell vectors:
Ga: 0.2252 0.0000 0.2252
Ga: 0.7500 0.0248 0.2748
Ga: 0.7500 0.4752 0.7252
Ga: 0.7748 0.0000 0.7748
Te: 0.3542 0.8542 0.5000
Te: 0.6042 0.6042 0.0000
Se: 0.4751 0.2230 0.2521
Se: 0.9709 0.2230 0.7479
Se: 0.9730 0.2209 0.2479
Se: 0.9730 0.7251 0.7521



Which of these has the lowest energy of formation?
Ta4GaSe8

~~~~~

# Na6Ca4Y4SiS11O48 GGA-PBE relaxed
# - energy of formation from the pure elements (eV/atom) = -2.589
# - total energy after the MP2020 corrections (eV/cell) = -1565.556
data_Na6Ca4Y4SiS11O48
_cell_length_a 9.243
_cell_length_b 16.010
_cell_length_c 24.268
_cell_angle_alpha 89.99
_cell_angle_beta 89.98
_cell_angle_gamma 89.96
_symmetry_space_group_name_H-M 'P 1'
_symmetry_Int_Tables_number 1
loop_
_symmetry_equiv_pos_as_xyz
'x,y,z'
loop_
_atom_site_label
_atom_site_type_symbol
_atom_site_fract_x
_atom_site_fract_y
_atom_site_fract_z
Na1 Na 0.000 0.000 0.000
Na2 Na 0.000 0.003 0.493
Na3 Na 0.007 0.676 0.168
Na4 Na 0.017 0.334 0.835
Na5 Na 0.140 0.492 0.750
Na6 Na 0.165 0.818 0.748
Na7 Na 0.190 0.192 0.747
Na8 Na 0.326 0.319 0.246
Na9 Na 0.496 0.172 0.661
Na10 Na 0.499 0.502 0.000
Na11 Na 0.499 0.834 0.329
Na12 Na 0.500 0.498 0.497
Na13 Na 0.513 0.167 0.170
Na14 Na 0.531 0.834 0.835
Na15 Na 0.667 0.317 0.745
Na16 Na 0.857 0.494 0.253
Na17 Na 0.974 0.326 0.334
Na18 Na 0.980 0.675 0.664
Ca1 Ca 0.000 0.332 0.482
Ca2 Ca 0.000 0.332 0.983
Ca3 Ca 0.000 0.665 0.515
Ca4 Ca 0.002 0.673 0.318
Ca5 Ca 0.006 0.333 0.677
Ca6 Ca 0.498 0.833 0.181